Now filter the entries below: keep the lines with the word "Relative".
/*
Computed, not measured: a structure of composition C20H36BrN3O7OsSi, with wB97M-V/def2-TZVPD.

Computed properties:
Max |F| = 1.75 eV/Å
E_tot = -4428.46261 a.u.
LUMO level (spin up / spin down) = -0.323 / -0.322 hartree
Kohn-Sham gap (spin up / spin down) = 6.325 / 6.368 eV
HOMO level (spin up / spin down) = -15.1 / -15.1 eV

ORCA input file:
```
! wB97M-V def2-TZVPD RIJCOSX def2/J DEFGRID3
* xyz 2 1
Os 0.211 -1.997 -0.038
Br 2.806 -0.776 -2.168
C 1.668 -2.143 -2.718
C 1.839 -2.662 -3.995
C 0.997 -3.658 -4.445
C 0.003 -4.136 -3.600
C -0.097 -3.599 -2.343
N 0.705 -2.596 -1.898
C -1.067 -4.119 -1.323
O -1.990 -4.826 -1.542
O -0.739 -3.655 -0.077
H 2.633 -2.273 -4.616
H 1.122 -4.064 -5.439
H -0.683 -4.922 -3.886
C -2.605 0.277 3.751
C -1.493 -0.164 2.815
C -1.685 -1.625 2.436
C -0.125 0.086 3.438
O -1.638 0.603 1.610
Si -0.662 1.099 0.426
O 0.429 -0.127 0.065
O 0.289 2.311 0.901
C 0.235 3.745 0.754
C 0.513 4.075 -0.715
C 1.317 4.306 1.654
C -1.151 4.223 1.162
O -1.578 1.473 -0.842
C -2.041 0.763 -2.000
C -2.392 -0.664 -1.609
C -0.950 0.802 -3.055
C -3.296 1.482 -2.472
H -2.579 -0.301 4.674
H -3.577 0.143 3.282
H -2.484 1.330 4.001
H -1.638 -2.288 3.298
H -0.885 -2.010 1.760
H -2.623 -1.777 1.904
H -0.014 -0.509 4.344
H -0.022 1.138 3.698
H 0.684 -0.181 2.755
H 1.472 3.661 -1.020
H 0.548 5.157 -0.832
H -0.275 3.675 -1.352
H 2.294 3.909 1.377
H 1.120 4.052 2.696
H 1.348 5.390 1.564
H -1.920 3.785 0.526
H -1.205 5.307 1.068
H -1.351 3.958 2.199
H -1.478 -1.195 -1.261
H -2.764 -1.239 -2.455
H -3.104 -0.710 -0.789
H -0.021 0.365 -2.674
H -0.743 1.832 -3.342
H -1.263 0.255 -3.943
H -4.065 1.465 -1.701
H -3.693 1.013 -3.371
H -3.057 2.520 -2.700
C 4.558 -0.339 1.272
N 3.192 -0.826 1.120
C 2.810 -2.048 1.402
N 3.619 -2.949 1.944
O 1.575 -2.438 1.219
H 4.667 0.563 0.676
H 5.265 -1.079 0.899
H 4.781 -0.097 2.312
H 2.461 -0.193 0.795
H 4.531 -2.706 2.294
H 3.263 -3.873 2.129
*
```

---

Computed, not measured: a structure of composition C24H26CuN4Si, with wB97M-V/def2-TZVPD.

Computed properties:
<S²> = 0.76
Relative energy (zero: lowest compared OMol25 entry of this formula, charge and spin) = 0.00 kcal per mole
Max |F| = 3.25 eV/Å
E_tot = -3079.04566 a.u.
LUMO level (spin up / spin down) = -0.003 / -0.009 hartree
Kohn-Sham gap (spin up / spin down) = 6.089 / 6.759 eV
HOMO level (spin up / spin down) = -6.2 / -7.0 eV

ORCA input file:
```
! wB97M-V def2-TZVPD RIJCOSX def2/J DEFGRID3
* xyz 0 2
C 0.303 2.350 2.748
C 0.831 2.316 1.421
C -0.265 2.654 0.514
H 1.879 2.245 1.127
C -1.443 2.825 1.322
C -1.078 2.664 2.682
H -1.717 2.848 3.545
H 0.889 2.228 3.654
H -0.162 2.861 -0.553
H -2.423 3.103 0.934
Cu -0.281 0.658 0.818
C 0.647 -3.871 -1.245
H 1.378 -3.261 -1.784
H 0.665 -3.669 -0.169
H 0.972 -4.916 -1.366
Si 0.026 -0.290 -1.053
C 1.640 0.003 -1.968
C 2.451 1.119 -1.693
H 2.181 1.801 -0.883
C 3.584 1.380 -2.478
H 4.179 2.275 -2.291
C 3.944 0.509 -3.513
H 4.818 0.715 -4.130
C 3.175 -0.633 -3.757
H 3.436 -1.321 -4.564
C 2.038 -0.893 -2.983
H 1.438 -1.787 -3.172
C -1.346 0.453 -2.120
C -1.152 0.635 -3.503
H -0.231 0.273 -3.965
C -2.119 1.282 -4.283
H -1.984 1.340 -5.366
C -3.235 1.874 -3.679
H -3.954 2.432 -4.282
C -3.427 1.727 -2.301
H -4.272 2.211 -1.806
C -2.531 0.960 -1.546
H -2.744 0.789 -0.488
H -0.368 -3.803 -1.658
H 0.010 -1.983 -1.013
N 0.733 -1.655 4.704
C 2.021 -1.248 4.998
C 2.396 -0.420 3.960
N 1.371 -0.310 3.052
C 0.360 -1.048 3.525
C -0.945 -1.239 2.919
N -1.378 -0.715 1.762
C -2.633 -1.240 1.512
C -2.969 -2.090 2.522
N -1.898 -2.085 3.399
H 0.165 -2.299 5.249
H 2.546 -1.552 5.884
H 3.334 0.091 3.814
H -3.172 -0.993 0.610
H -3.850 -2.677 2.677
H -1.833 -2.621 4.258
*
```

---

Computed, not measured: a structure of composition C29H23AsN3O8S6Ti, with wB97M-V/def2-TZVPD.

Computed properties:
<S²> = 0.76
Relative energy (zero: lowest compared OMol25 entry of this formula, charge and spin) = 0.00 kcal per mole
Max |F| = 1.74 eV/Å
E_tot = -7359.77451 a.u.
LUMO level (spin up / spin down) = 0.151 / 0.151 hartree
*/
Relative energy (zero: lowest compared OMol25 entry of this formula, charge and spin) = 0.00 kcal per mole
Relative energy (zero: lowest compared OMol25 entry of this formula, charge and spin) = 0.00 kcal per mole